Name: Ji-Min Vahh (Munoz Blankenship) "hidden curled strength"

Gender: Female, bi

Age/DOB: ~16 / RY 8, aged artificially

# Next to the page, the page also holds materials data
Entry 1:
A geometry-optimized TiCrO3 structure, computed with PBE with a Hubbard U.

Summary:
Formation energy from the elements ... -2770 meV per atom
Size of the total moment ... 24.01 μB/cell

Lattice parameters (Å, degrees): 5.2094 5.2325 14.2091 92.13 90.62 119.70
Last column: nearest neighbours and their distance in Å.
Atoms (fractional coordinates):
Ti  0.3407  0.6684  0.1517  4 O 1.91-2.11
Ti  0.0048  0.9922  0.2001  5 O 1.94-2.12
Ti  0.0080  0.0060  0.6999  5 O 1.94-2.08
Ti  0.3122  0.6604  0.3662  3 O 1.81-1.83
Ti  0.6718  0.3484  0.6518  5 O 1.91-2.13
Ti  0.6534  0.3131  0.8665  3 O 1.81-1.84
Cr  0.3306  0.6545  0.8514  5 O 2.04-2.24
Cr  0.0016  0.9948  0.9940  6 O 2.00-2.13
Cr  0.9908  0.0049  0.4939  6 O 2.00-2.13
Cr  0.3422  0.6836  0.6460  5 O 2.06-2.23
Cr  0.6776  0.3343  0.1465  5 O 2.06-2.20
Cr  0.6504  0.3212  0.3521  4 O 2.04-2.14
O  0.9800  0.2969  0.5964  1 Ti 1.93, 2 Cr 2.06-2.09
O  0.9628  0.2938  0.9172  1 Ti 1.81
O  0.3706  0.3417  0.7570  3 Ti 1.97-2.19, 1 Cr 2.17
O  0.7250  0.7051  0.5961  2 Ti 1.95-2.08, 2 Cr 2.08-2.13
O  0.6798  0.6520  0.9190  1 Ti 1.84, 2 Cr 2.00-2.05
O  0.0070  0.6575  0.7475  2 Ti 1.97-2.12
O  0.6654  0.0280  0.7411  2 Ti 1.94-2.13, 1 Cr 2.16
O  0.3035  0.0521  0.5956  2 Ti 1.91-2.08, 1 Cr 2.08
O  0.3380  0.0092  0.9194  1 Ti 1.82, 1 Cr 2.03
O  0.6966  0.9700  0.0967  2 Ti 1.94-2.12, 2 Cr 2.06-2.13
O  0.6464  0.9708  0.4198  1 Ti 1.82, 1 Cr 2.00
O  0.3372  0.9711  0.2590  2 Ti 1.97-2.16, 1 Cr 2.14
O  0.0196  0.3615  0.2429  2 Ti 1.97-2.14, 1 Cr 2.18
O  0.2894  0.3037  0.0963  1 Ti 1.93, 2 Cr 2.06-2.09
O  0.2919  0.3366  0.4157  1 Ti 1.81
O  0.6530  0.6556  0.2447  2 Ti 1.94-2.11
O  0.0005  0.6725  0.4201  1 Ti 1.83, 2 Cr 2.02-2.04
O  0.0487  0.7397  0.0954  2 Ti 1.91-2.04, 1 Cr 2.09

=====

Entry 2:
A geometry-optimized LiNi2OF3 structure, computed with PBE with a Hubbard U.

Summary:
Formation energy from the elements ... -2183 meV per atom
Size of the total moment ... 16.00 μB/cell
ΔE to the lowest computed polymorph ... 0 meV per atom

Lattice parameters (Å, degrees): 7.9856 7.9856 7.9856 136.84 115.40 80.88
Last column: nearest neighbours and their distance in Å.
Atoms (fractional coordinates):
Li  0.5108  0.8648  0.6461  3 F 1.89-1.95, 1 O 1.93
Li  0.7813  0.1352  0.6461  3 F 1.89-1.95, 1 O 1.93
Li  0.7339  0.3708  0.3631  4 F 1.85-1.96
Li  0.9923  0.6292  0.3631  4 F 1.85-1.96
Ni  0.7360  0.7488  0.9872  1 O 1.93, 5 F 2.07-2.10
Ni  0.1310  0.1396  0.5068  3 O 1.96-2.10, 3 F 2.11-2.18
Ni  0.3671  0.8604  0.9914  3 O 1.96-2.10, 3 F 2.11-2.18
Ni  0.9838  0.0000  0.9838  5 F 1.95-2.08, 1 O 2.01
Ni  0.2384  0.2512  0.9872  1 O 1.93, 5 F 2.07-2.10
Ni  0.5193  0.5000  0.0193  5 F 1.96-2.08, 1 O 2.00
Ni  0.1310  0.6242  0.9914  3 O 1.96-2.10, 3 F 2.11-2.18
Ni  0.3671  0.3758  0.5068  3 O 1.96-2.10, 3 F 2.11-2.18
O  0.4920  0.7291  0.7629  1 Li 1.93, 3 Ni 1.93-1.96
O  0.0338  0.2709  0.7629  1 Li 1.93, 3 Ni 1.93-1.96
O  0.2845  0.5000  0.7845  5 Ni 2.00-2.04

Origin: Rookery Earth BMRookery

Family: Mother Imelda Munoz-Wong, father Peregrine Blankenship Vahh; half-brother Edgar, numerous other relatives all over the place including Bella and Gracie (spliced grammas), and a ton of Convocation

Other: Quite the opposite of both her parents, Ji-Min is quite gregarious and enjoys physical contact, so... watch out

Height: 5'7" she looks so much taller than she is, thanks to her build

Weight: around 80, maybe, if she's fully clothed and soaking wet; very long, very lean, incredibly flexible and surprisingly strong for such a willowy build, she actually seems quite a bit like her grandmother Bella in her just-right curves and remarkably slender limbs

Hair: dark and shiny brown, very coppery in the sun but almost out of nowhere it'll look virtually black; quite straight but not as thick as she'd like it to be, frizzes in wet weather, kept to about mid-back but often in an up-do

Eyes: Shiny near-lime green, with sparkly emerald flecks up close; heavily lidded, with long natural lashes

Appearance: medium tan skin that bronzes brightly with sunlight, and a light dappling of freckles on her shoulders and cheeks; loves to pose and posture, look adorable, and then swiftly fuck your shit up after a tittering laugh; her outfits are usually Icarus-undersuit with adds, and super-strong running shoes

Icarus Processing: no, but pretty much everyone in her line is either spliced, treated, or superhuman, so there's no point in this. Her physical abilities are incredibly strong, thanks to those lines, including being effectively immortal thanks to both incredible resistances against disease and injury (just don't even bother trying), and her mastery over molecular speeds. Though she's not as overtly adaptable to other environments like underwater or without air, she can absolutely survive those things, she just doesn't like it much. She is about 3x stronger than a normal person, and remarkably flexible and agile, and thanks to her weighing nearly nothing she can walk on wires and cling to things that would crumble under other weight

Image Credits: Meiker Dressup Schmessup

Genetic Abilities: She has a strong psychic suite of empathy (weak, close range), telepathy (highly invasive but only under 100 meters), and Vortal sight (strong at ranges up to 2km), she can connect at any distance or in any dimension to her bloodlines, and a very strong sense of location both on-site and interdimensionally. She can sense other dimensions, and with a lot of concentration she can actively move between them. She can teleport and does so as a last-ditch tactic, because she basically loves running and jumping, and her power over molecular agitation gives her boosts for any form of locomotion. Her senses tune to this movement and respond, but she doesn't have any enhanced sight or touch features aside from when she's racing through a location at 400 mph. She can also produce a bit of a shield, mostly to keep the wind out of her eyes and the bugs out of her teeth, which also causes her to sparkle and shine when she's going at speed - those things hit at 400 mph... pop! The molecular movement she can produce can set things on fire, though isn't an outright pyrokinetic, as well she can reduce movement to nearly 0 kelvin but wouldn't consider this to be an 'ice' power. Accelerating small items like mom does she can actually heft a greater volume, but not much more weight than that. A set of knives, a book or two, things of that size - but she can also pinpoint small items like bugs, dust, or raindrops, and vaporize them instantly, within about 20 meters, and manipulate projectiles up to 100 meters if she guides it the whole distance. She can bring along living things when she boosts her speed, but it really needs to come with a warning: she can pick up and run with two human-sized weights on her skinny shoulders, so buckle up buttercup... Ji-Min can leap from rooftop to rooftop and land precisely on one toe without falling, and she can even balance those people while doing so. Though she's not as fast as dad, she's absolutely as mobile.
Skills or Profession: Given downloaded skills while being taken from toddler-to-tween age down in Rapture's facility. She has all the basics, reading and maths, survival skills and navigation - and those she's taken to an extreme. Because she is able to zip around easily and hardly weighs a thing, she is effective at rushing through a place to disarm the defenses or trigger things using pressure plates and tripwires (which alternately have to be manually triggered, or burn up with her speed shield) before others go in, and has a stunningly strong memory for her route. She has a great skill with estimating distances, volumes, and elevations, and scale - which is extremely important when she spots a teeny tiny outcropping that looks much smaller than it really is, or is farther away than expected. As a navigator she is sure to make great looking quickly drawn maps, using her molecular power on a very small scale she can 'draw' using dust burned into paper. Ji-Min speaks English and can understand but not really 'speak' Vortigese, she lacks the lung capacity to really produce their sounds - and... maybe, if she's thinking hard on it, she could try creating sounds using her Vortal powers. But that's a ways off, and she'd need a lot more practice. Ji-Min has a strong science and engineering background, but more or less to help others do the work, rather than design or fix items herself. She identifies parts and equipment easily, but that's about where her interest in building things ends. She does however really enjoy exploration and environments, so she has a collection of weird small (dead) animals from extremely disparate locations on many worlds. "I got this 14 miles up on that one planet with the semi-intelligent jellyfish!" right along side "a jellyfish from next to Rapture's dragon exit!" And she's fascinated by the variety of ways things evolve. That's why she is fond of going to Xen with dad, to look at all the weird places and see how creatures that Lane put there have adapted.
Personality: Brighter and happier than either of her parents, she knew how stand-offish they both were, and knows better than to try and encourage them to hug or whatever. She's learned how to be a badass from mom, and self-sufficient thanks to dad, but she absolutely loves being around people instead of being alone, at least in her down time. When she's up and running, doing any exploration, rescues, or mapping - that's her time, and hers alone. She does talk a mile a minute, and when she has a subject that she likes, she'll learn as much as possible, and hang with people with similar interests, until she's on another subject with a different social group.

Events or History: (story had been in progress for an eienic but didn't get it in time, whoops)

She perched on the top of the research building's array antenna, unblinking. The colors of the Xenian horizon defied description, but words came to her mind anyway: gold and violet, green and orange. A billowing tapestry of particles seemed to eminate from the nebula that formed most of the sky, hardly ever appearing the same way twice. She knew that the nebula wasn't really a space phenomenon as she'd been taught from downloads and classes, on Xen anything but that would be true. She knew because her father had explained, this place belonged to his own father - co-opted by the other version, her half brother's grandfather. It existed outside of normal space and beside it at the same time. It was far easier for her to move from the real world to this place, than to any spot even nearby on Earth. Not that it was easy to get here? But here she was.

The antenna array had held up pretty well, all things considered. It was old, some of the walls had plaques and faded stenciled lettering dating back as far as 1986. To a girl born on another planet less than a decade ago, sixty years seemed impossibly long before her time.

[Between two parts of the piece: materials data]
/*
(1)
{"formula": "CsLaP4O12", "functional": "GGA-PBE", "state": "optimized geometry", "cell": [[9.395, 0.000, 0.000], [0.000, 7.322, 0.000], [0.000, 1.447, 8.850]], "species": ["Cs", "Cs", "La", "La", "P", "P", "P", "P", "P", "P", "P", "P", "O", "O", "O", "O", "O", "O", "O", "O", "O", "O", "O", "O", "O", "O", "O", "O", "O", "O", "O", "O", "O", "O", "O", "O"], "fractional_positions": [[0.434, 0.673, 0.825], [0.934, 0.327, 0.175], [0.599, 0.798, 0.303], [0.099, 0.202, 0.697], [0.474, 0.354, 0.544], [0.524, 0.306, 0.228], [0.207, 0.940, 0.375], [0.323, 0.083, 0.073], [0.974, 0.646, 0.456], [0.707, 0.060, 0.625], [0.823, 0.917, 0.927], [0.024, 0.694, 0.772], [0.652, 0.923, 0.532], [0.698, 0.959, 0.801], [0.566, 0.505, 0.183], [0.441, 0.276, 0.389], [0.545, 0.540, 0.510], [0.152, 0.077, 0.468], [0.340, 0.337, 0.635], [0.851, 0.148, 0.594], [0.250, 0.143, 0.926], [0.087, 0.787, 0.364], [0.066, 0.495, 0.817], [0.198, 0.041, 0.199], [0.587, 0.213, 0.636], [0.941, 0.724, 0.611], [0.134, 0.843, 0.768], [0.928, 0.074, 0.910], [0.750, 0.857, 0.074], [0.351, 0.852, 0.406], [0.634, 0.157, 0.232], [0.428, 0.926, 0.090], [0.045, 0.460, 0.490], [0.840, 0.663, 0.365], [0.894, 0.729, 0.883], [0.394, 0.271, 0.117]]}


(2)
{"formula": "KAg2SbS3", "functional": "GGA-PBE", "state": "optimized geometry", "cell": [[-3.160, -3.090, 5.246], [8.443, -3.361, 2.985], [1.509, 9.351, 5.746]], "species": ["K", "K", "K", "K", "Ag", "Ag", "Ag", "Ag", "Ag", "Ag", "Ag", "Ag", "Sb", "Sb", "Sb", "Sb", "S", "S", "S", "S", "S", "S", "S", "S", "S", "S", "S", "S"], "fractional_positions": [[0.299, 0.572, 0.634], [0.701, 0.428, 0.366], [0.200, 0.423, 0.128], [0.800, 0.577, 0.872], [0.517, 0.735, 0.142], [0.483, 0.265, 0.858], [0.084, 0.839, 0.047], [0.916, 0.161, 0.953], [0.024, 0.103, 0.344], [0.976, 0.897, 0.656], [0.408, 0.159, 0.544], [0.592, 0.841, 0.456], [0.536, 0.056, 0.148], [0.464, 0.944, 0.852], [0.049, 0.792, 0.346], [0.951, 0.208, 0.654], [0.640, 0.087, 0.363], [0.360, 0.913, 0.637], [0.358, 0.661, 0.337], [0.642, 0.339, 0.663], [0.644, 0.288, 0.074], [0.356, 0.712, 0.926], [0.175, 0.085, 0.140], [0.825, 0.915, 0.860], [0.886, 0.688, 0.519], [0.114, 0.312, 0.481], [0.879, 0.667, 0.171], [0.121, 0.333, 0.829]]}


(3)
{"formula": "La2Co3", "functional": "GGA-PBE", "state": "optimized geometry", "cell": [[2.399, -5.163, 0.000], [2.399, 5.163, 0.000], [0.000, 0.000, 7.743]], "species": ["La", "La", "La", "La", "Co", "Co", "Co", "Co", "Co", "Co"], "fractional_positions": [[0.850, 0.150, 0.588], [0.150, 0.850, 0.412], [0.350, 0.650, 0.912], [0.650, 0.350, 0.088], [0.839, 0.661, 0.750], [0.161, 0.339, 0.250], [0.339, 0.161, 0.750], [0.661, 0.839, 0.250], [0.000, 0.000, 0.000], [0.500, 0.500, 0.500]]}


(4)
*/

(( something something assembles the portal plate lol I ran out of steam writing this ))


Name: Salmathrikax "Sal" "Sax" (sal MATH rih kacks)
Gender: Male
Size/Shoulder/Length: Large! 14' s / 80' l / 125' and 65' ws
*Colors: midnight indigo blue body and limbs, backs of wingsails; belly from chin to tail tip pale blue-white; mid scales aqua, then dark teal closer to spine; armor and neck spikes matte very dark denim blue; horns and claws medium denim blue; all fins and wingsails underneath are starry nebula swirls of these colors, from a brighter white blue through sparkling indigo, with a lot of greenish teal and blue-green, and added tiny speckling stars*; sky blue eyes
Features: long noodle with many limbs! Four legs with 4 very long sharp claws; four wings, two much larger, larger with 4 fingers and elbow strut along with a very large long wrist thumb with claw, smaller with 2 fingers and elbow strut, smaller wrist thumb/claw; hind legs at hips have large sharp spine with 5 points and webbing joined at the leg; body is very long and noodle shaped with large chest/keel area, all limbs are very strong and muscular; head is sharp with nose horn, back pointing horns, external ears, pupiled eyes, and neck spines with webbing; neck has sharp fin-wattle on front, and sharp spikes that increase in size toward shoulders; tail has very large spine web fin end; scaled with soft belly armor
Powers: Winged Flight, you'd be crazy to think that a dragon with wings this big (and numerous) wouldn't be an incredible flyer. He is very acrobatic, able to do fancy loops and flying in improbable patterns, and always manages to land on his feet properly; he's really the only good match for such a noodle partner, after all, since she is quick, like a ribbon on the air... he will definitely match her for speed but sometimes she can get away...
Starlight Portal (teleport/genrehop?), those swirls on his wings are there for a reason, they all but come to life when he needs to get somewhere quickly - but he can also create one that appears as a green-black-white sparkling whirl in mid-air. These can lead anywhere he's been, or wherever he can see directly (not on video); he has memorized a lot of places, and has asked several teleporters to take him to interesting locales... This power does consume a lot of energy, so he must be well rested, and will need a few minutes to collect himself after going through one, though he can also maintain a portal for others up to half an hour before it will falter
Starlight, Starbright, light illusions and bending that take little effort; he can manipulate frequencies of light more easily when they're focused, so lamps and candle flames, fires, and lasers are all his to command; the effects can be dramatic, as he can brighten or dim existing light sources or cause them to flicker or strobe, and even blind things that stare into them too long; this power works within 100 meters of him, but can be seen by anything with line of sight if the effects are brighter than the surrounding area
Communication, verbal speech is his method, and he has a resoundingly strong voice, and tends toward using big words (and uses them properly) in humanoid or vortigaunt presence; but he loves chatting to Livoyhoth 'on her level' knowing that if someone believes his partner to be dull witted, she can occasionally tap him for backup and blurt out whole sonnets or technical manuals if needed. Yes, he reads both sonnets and technical manuals provided he's got access to something big enough to read them from...He can kinda-sorta make words appear on his wings, but he can also use his wings as a sort of sign language at a very great distance
Visualize Whirled Peas (illusion-causing particle effects), this might be an effect of his portal generation, but he can manipulate nearby small particles into semi-physical shapes. As long as they're tiny, grains of salt or sand and smaller, he can move a tremendous volume of it but the effects will always seem a little fuzzy around the edges or somewhat transparent; also these things must be in motion, he cannot create a static image and keep it still for very long before he loses concentration and it falls back into dust
Chameleon Webbing, the undersides of his wingsails are also always in motion, visually, and it's possible that they show some other dimension or reality... a few Nightwings and other dragons have such a feature, but no one's really ever walked up and tried sticking their hand through his wing to find out; the upshot is that he can manipulate the patterns that are there, in the same colors as shown, in many geometric or natural looking patterns as well as splitting up 'stars and swirls' or 'night sky patterns'; his wings are also so large that he can create what amounts to a theater screen sized image, which keeps the local predators at bay because all of a sudden there's like 6 more dragons ...
Parentage: Unknown pure ... whatever they are or were, Seraphwings? Something else? They are unrelated to but the same breed as several others in the Rookery
Origin: No one on the other dragons' world seems to remember these incredible dragons, so maybe they're just from 'wherever'; adopted from Synthwave-terror with lines by x-tamara-x on Deviantart
Other Info: One of the few dragons to arrive from somewhere that doesn't truly exist any longer, Sal showed up thanks to one of the Rookery's 'collection plate' portals being posted on Xen. That plate was assembled by JiMin, and has collected at least one other wayward dragon, and she's become the focal point for his interests. Together they wander and find stray people, or remove unwanted arrivals to a holding area. Xen tends to acquire odd things, after all, and unless Keenan has approved it, it shouldn't remain without observation!


Name: Livoyhoth Sikani - "stunning night sky" (lalli voy hoh; lee-VOY hoh'th)
Gender: Female
Size/Shoulder/Length: large (long) 7'4" s / 68' l / 32' and 18' main ws with adds
Colors: body indigo night time with darker black-indigo on face and tail end, and more violet-blue-indigo between back wings, all speckled with delightfully sparkly white star patterns; mane, leg and tail floof shiny violet; webbing sky blue with paler cloudy markings; feathers darkish green and golden-green; eyes cyan-sky blue
Features: noodlemutt; four legs 2 clawed toes having short thin claws, floof on backs; several sets of wings on neck, back, and tail; neck wings 2 visible fingers, webbing, two layers of feathers; forewings 3 visible fingers with webbing and 2 fingered webbing extended, two + layers of feathers; hind wings 3 fingered with webbing and 1 layer of feathers, one set smaller, rear larger; three wing pairs on tail end with 1, 2, 1 visible fingers and only webbing; head is canine-ish with faceted eyes, mop of fur mixing with full neck and chest mane fur, head framed with large extended soft frills; long tail has silky fur tuft after wings; hide with fur/feathers
Powers: Winged Flight of course lol but she prefers being in the lighter gravity and thin atmosphere of Xen, to fly like a noodle should, energetically and in about three directions at once; on Xen she can lift quite a bit of weight, though holding on to it is harder than it looks so she lets Sal do the heavy lifting of camping gear or machinery, and she takes care of the visitors who can easily cling on to her furry neck
Teleportation, generally she uses this power to reach only a few locations, returning to their home island or one of the existing Rookery encampments; her range is 'who knows', but she tends to fly much more than use any teleport, as it makes her feel more disoriented than if she's flown
Telepathy, able to reach intelligent minds and communicate with them, her mind is not remarkably clear, but that's mainly due to having so many limbs to deal with it's more complicated than many, so there's a lot of 'background noise' to anyone trying to actively communicate with her; she is capable of understanding advanced ideas and concepts, but prefers simple discussions about locations, weather effects, and the like; she's not simple minded, she just doesn't want complexity; along with this, she has a weak Human Empathy component that allows her to sense a humanoid's emotions, so she makes a reasonable search and rescue dragon, since on Xen there will definitely be strays in need of rescuing
Dream Walking, this power she's started really enjoying because there are many creatures that sleep and dream in this realm and their dreams are even weirder than Xen itself! She does have a short range on this, but she is big enough that she keeps predators away from campers while they're on trips here
Sonic Control, because sound seems to travel really well here on Xen, she's started using this to communicate 'verbally', though only in terms of 'loud bellowing and barking' that emulates the gigantic 'whales' or smaller 'peeper puppies' here; she has to be careful not to let loose a big noise near sensitive ears or equipment, because they will break, it's not a matter of 'if'...
Dragon Healing, some of those campers bring their dragons, and those dragons woefully underestimate their ability to navigate the vast Xenian skies. She treats a lot of exhausted wings, bumps and bruises from landing hard on weird terrain, and more than a few broken wing fingers; she is strong with this ability, and will continue to use it as long as there are visitors in need of repairs
Light Weapon, while she can manipulate nearby light sources, her favorite thing is to use Sal's provided lights and amplify them, they make an incredibly good lightshow team! They challenge each other to fiddle with their colors and patterns, and to practice their illusion durability without wearing her out
Psionic Dampening, Genetic Alteration and Shapeshifting, while she does carry these powers, she's neglected them in favor of other things; should she have children with ... well, with that lovely big boi over there, the dampening component will likely vanish, but the shifting and genetic alteration will grow stronger thanks to being reinforced by his own color-chameleon wings; her shifting gets only the 'make my stars sparkle' treatment, and she probably won't try changing her whole body (what if she gets stuck!? what if she can't fly?); also since most of the Rookery Pantheon kids have powers and abilities, why would she ever want to stifle them?
Parentage: Banyak Sikani and Lorikath
Origin: Ktrenal / Mirus shipping pairs April 2022
Other Info: Though she was young when she arrived, she instantly knew that this was the place for her to remain. She's visited other realms connected to Rookery Xen, such as 'The' Rookery on earth, but it's heavy and dry and gritty there. Livoyhoth took this name based on the Vortigaunts who spoke of her, and she has a good laugh internally when people can't say it and fumble the syllables. She doesn't have to worry about speaking it, the Vorts catch her every thought and she lets them. JiMin acts as a director for the actions of those humans here, sometimes making sure that visitors are cared for, but equally challenging to them to get good and lost so that the rescue squad can go looking for them!